Source:
Below is CrFeTe after structural relaxation, with properties calculated at the PBE-GGA level.

The formation energy from raw total energies is 0.46 eV per atom. The symmetry is P3m1 (156).

Structure (POSCAR):
```
CrFeTe
1.0
3.9195 0.0000 0.0000
-1.9597 3.3944 0.0000
0.0000 0.0000 3.9899
Cr Fe Te
1 1 1
direct
0.0000 0.0000 0.0000 Cr
0.6667 0.3333 0.1854 Fe
0.3333 0.6667 0.5642 Te
```


Below is CrFe2Te after structural relaxation, with properties calculated at the PBE-GGA level.

The formation energy from raw total energies is 0.34 eV per atom. The symmetry is Fm-3m (225).

Structure (POSCAR):
```
CrFe2Te
1.0
0.0000 2.9802 2.9802
2.9802 0.0000 2.9802
2.9802 2.9802 0.0000
Cr Fe Te
1 2 1
direct
0.0000 0.0000 0.0000 Cr
0.2500 0.2500 0.2500 Fe
0.7500 0.7500 0.7500 Fe
0.5000 0.5000 0.5000 Te
```


Below is CrFeTe2 after structural relaxation, with properties calculated at the PBE-GGA level.

The formation energy from raw total energies is 0.12 eV per atom. The symmetry is Cm (8).

Structure (POSCAR):
```
CrFeTe2
1.0
4.0378 -1.7436 0.0000
4.0378 1.7436 0.0000
-1.7398 0.0000 6.7328
Cr Fe Te
1 1 2
direct
0.0000 0.0000 0.0000 Cr
0.2502 0.2502 0.8526 Fe
0.5024 0.5024 0.6891 Te
0.7507 0.7507 0.1807 Te
```


Below is CrFe2Te after structural relaxation, with properties calculated at the PBE-GGA level.

The formation energy from raw total energies is 0.45 eV per atom. The symmetry is C2/m (12).

Structure (POSCAR):
```
CrFe2Te
1.0
4.1643 -1.5538 0.0000
4.1643 1.5538 0.0000
-0.8478 0.0000 4.4237
Cr Fe Te
1 2 1
direct
0.0000 0.0000 0.0000 Cr
0.2555 0.2555 0.7838 Fe
0.7445 0.7445 0.2162 Fe
0.5000 0.5000 0.5000 Te
```


| no. | relative energy among the computed polymorphs (kJ/mol of formula units) | D(E_F) (states/eV/atom) |
| --- | --- | --- |
| 1 | 97 | 0.844 |
| 2 | 0 | 0.846 |
| 3 | 26 | 0.842 |
| 4 | 42 | 1.193 |

To do:
What is needed: type out all of the data further above word for word.

Completed:
Below is CrFeTe after structural relaxation, with properties calculated at the PBE-GGA level.

The formation energy from raw total energies is 0.46 eV per atom. The symmetry is P3m1 (156).

Structure (POSCAR):
```
CrFeTe
1.0
3.9195 0.0000 0.0000
-1.9597 3.3944 0.0000
0.0000 0.0000 3.9899
Cr Fe Te
1 1 1
direct
0.0000 0.0000 0.0000 Cr
0.6667 0.3333 0.1854 Fe
0.3333 0.6667 0.5642 Te
```


Below is CrFe2Te after structural relaxation, with properties calculated at the PBE-GGA level.

The formation energy from raw total energies is 0.34 eV per atom. The symmetry is Fm-3m (225).

Structure (POSCAR):
```
CrFe2Te
1.0
0.0000 2.9802 2.9802
2.9802 0.0000 2.9802
2.9802 2.9802 0.0000
Cr Fe Te
1 2 1
direct
0.0000 0.0000 0.0000 Cr
0.2500 0.2500 0.2500 Fe
0.7500 0.7500 0.7500 Fe
0.5000 0.5000 0.5000 Te
```


Below is CrFeTe2 after structural relaxation, with properties calculated at the PBE-GGA level.

The formation energy from raw total energies is 0.12 eV per atom. The symmetry is Cm (8).

Structure (POSCAR):
```
CrFeTe2
1.0
4.0378 -1.7436 0.0000
4.0378 1.7436 0.0000
-1.7398 0.0000 6.7328
Cr Fe Te
1 1 2
direct
0.0000 0.0000 0.0000 Cr
0.2502 0.2502 0.8526 Fe
0.5024 0.5024 0.6891 Te
0.7507 0.7507 0.1807 Te
```


Below is CrFe2Te after structural relaxation, with properties calculated at the PBE-GGA level.

The formation energy from raw total energies is 0.45 eV per atom. The symmetry is C2/m (12).

Structure (POSCAR):
```
CrFe2Te
1.0
4.1643 -1.5538 0.0000
4.1643 1.5538 0.0000
-0.8478 0.0000 4.4237
Cr Fe Te
1 2 1
direct
0.0000 0.0000 0.0000 Cr
0.2555 0.2555 0.7838 Fe
0.7445 0.7445 0.2162 Fe
0.5000 0.5000 0.5000 Te
```


| no. | relative energy among the computed polymorphs (kJ/mol of formula units) | D(E_F) (states/eV/atom) |
| --- | --- | --- |
| 1 | 97 | 0.844 |
| 2 | 0 | 0.846 |
| 3 | 26 | 0.842 |
| 4 | 42 | 1.193 |